Your job: write out all of the entries below verbatim.

1.
# Y2AuSeO | the Alexandria database | GGA-PBEsol | optimized geometry
data_Y2AuSeO
_cell_length_a 4.627
_cell_length_b 4.627
_cell_length_c 4.534
_cell_angle_alpha 90.00
_cell_angle_beta 90.00
_cell_angle_gamma 90.00
_symmetry_space_group_name_H-M 'P 4/m m m'
_symmetry_Int_Tables_number 123
_symmetry_space_group_name_Hall '-P 4 2'
loop_
_atom_site_label
_atom_site_fract_x
_atom_site_fract_y
_atom_site_fract_z
Y1 0.000 0.500 0.000
Au1 0.000 0.000 0.500
Se1 0.500 0.500 0.500
O1 0.000 0.000 0.000
# * E_tot: -6.604 eV per atom
# * uncorrected formation energy: -1.2704 eV per atom
# * magnetic moment: 0.0 μB per cell

---

2.
# Sm4Au2O9 | the Alexandria database | GGA-PBEsol | optimized geometry
data_Sm4Au2O9
_cell_length_a 11.755
_cell_length_b 6.000
_cell_length_c 11.787
_cell_angle_alpha 90.00
_cell_angle_beta 90.00
_cell_angle_gamma 90.00
_symmetry_space_group_name_H-M 'P b c n'
_symmetry_Int_Tables_number 60
loop_
_symmetry_equiv_pos_as_xyz
'x,y,z'
'-x,-y,-z'
'-x+1/2,-y+1/2,z+1/2'
'x+1/2,y+1/2,-z+1/2'
'x+1/2,-y+1/2,-z'
'-x+1/2,y+1/2,z'
'-x,y,-z+1/2'
'x,-y,z+1/2'
loop_
_atom_site_label
_atom_site_fract_x
_atom_site_fract_y
_atom_site_fract_z
Sm1 0.012 0.242 0.090
Sm2 0.159 0.198 0.764
Au1 0.228 0.419 0.511
O1 0.000 0.024 0.250
O2 0.076 0.385 0.589
O3 0.115 0.061 0.946
O4 0.163 0.438 0.351
O5 0.197 0.126 0.159
# * E_tot: -7.471 eV per atom
# * uncorrected formation energy: -2.4403 eV per atom
# * magnetic moment: 0.0 μB per cell

---

3.
# SrAu3O | the Alexandria database | GGA-PBEsol | optimized geometry
data_SrAu3O
_cell_length_a 5.729
_cell_length_b 5.729
_cell_length_c 5.729
_cell_angle_alpha 90.00
_cell_angle_beta 90.00
_cell_angle_gamma 90.00
_symmetry_space_group_name_H-M 'P m -3 m'
_symmetry_Int_Tables_number 221
_symmetry_space_group_name_Hall '-P 4 2 3'
loop_
_atom_site_label
_atom_site_fract_x
_atom_site_fract_y
_atom_site_fract_z
Sr1 0.000 0.000 0.000
Au1 0.000 0.000 0.500
O1 0.500 0.500 0.500
# * E_tot: -2.306 eV per atom
# * uncorrected formation energy: 1.4665 eV per atom
# * magnetic moment: 2.7 μB per cell

---

uncorrected formation energy of number 3 (SrAu3O)? 1.4665 eV per atom

---

Which of these has the lowest E_tot? Sm4Au2O9

1.
# Y2AuSeO | the Alexandria database | GGA-PBEsol | optimized geometry
data_Y2AuSeO
_cell_length_a 4.627
_cell_length_b 4.627
_cell_length_c 4.534
_cell_angle_alpha 90.00
_cell_angle_beta 90.00
_cell_angle_gamma 90.00
_symmetry_space_group_name_H-M 'P 4/m m m'
_symmetry_Int_Tables_number 123
_symmetry_space_group_name_Hall '-P 4 2'
loop_
_atom_site_label
_atom_site_fract_x
_atom_site_fract_y
_atom_site_fract_z
Y1 0.000 0.500 0.000
Au1 0.000 0.000 0.500
Se1 0.500 0.500 0.500
O1 0.000 0.000 0.000
# * E_tot: -6.604 eV per atom
# * uncorrected formation energy: -1.2704 eV per atom
# * magnetic moment: 0.0 μB per cell

---

2.
# Sm4Au2O9 | the Alexandria database | GGA-PBEsol | optimized geometry
data_Sm4Au2O9
_cell_length_a 11.755
_cell_length_b 6.000
_cell_length_c 11.787
_cell_angle_alpha 90.00
_cell_angle_beta 90.00
_cell_angle_gamma 90.00
_symmetry_space_group_name_H-M 'P b c n'
_symmetry_Int_Tables_number 60
loop_
_symmetry_equiv_pos_as_xyz
'x,y,z'
'-x,-y,-z'
'-x+1/2,-y+1/2,z+1/2'
'x+1/2,y+1/2,-z+1/2'
'x+1/2,-y+1/2,-z'
'-x+1/2,y+1/2,z'
'-x,y,-z+1/2'
'x,-y,z+1/2'
loop_
_atom_site_label
_atom_site_fract_x
_atom_site_fract_y
_atom_site_fract_z
Sm1 0.012 0.242 0.090
Sm2 0.159 0.198 0.764
Au1 0.228 0.419 0.511
O1 0.000 0.024 0.250
O2 0.076 0.385 0.589
O3 0.115 0.061 0.946
O4 0.163 0.438 0.351
O5 0.197 0.126 0.159
# * E_tot: -7.471 eV per atom
# * uncorrected formation energy: -2.4403 eV per atom
# * magnetic moment: 0.0 μB per cell

---

3.
# SrAu3O | the Alexandria database | GGA-PBEsol | optimized geometry
data_SrAu3O
_cell_length_a 5.729
_cell_length_b 5.729
_cell_length_c 5.729
_cell_angle_alpha 90.00
_cell_angle_beta 90.00
_cell_angle_gamma 90.00
_symmetry_space_group_name_H-M 'P m -3 m'
_symmetry_Int_Tables_number 221
_symmetry_space_group_name_Hall '-P 4 2 3'
loop_
_atom_site_label
_atom_site_fract_x
_atom_site_fract_y
_atom_site_fract_z
Sr1 0.000 0.000 0.000
Au1 0.000 0.000 0.500
O1 0.500 0.500 0.500
# * E_tot: -2.306 eV per atom
# * uncorrected formation energy: 1.4665 eV per atom
# * magnetic moment: 2.7 μB per cell

---

uncorrected formation energy of number 3 (SrAu3O)? 1.4665 eV per atom

---

Which of these has the lowest E_tot? Sm4Au2O9